Canada’s Air Quality Health Index has a major flaw in that it is a poor indicator of the health implications of breathing polluted air.
Remarkably, only a few simple chemicals are monitored while the most dangerous chemicals in the air — complex toxins along with chemicals known to cause cancer and birth defects are omitted.
Common sense indicates that no monitoring program can be effective unless, at the very least, carcinogens are monitored.
Independent, more sophisticated monitoring of the air in a typical Alberta city identified growing levels of carcinogens such as smoke, formaldehyde, benzene and polycyclic compounds, 30 years ago.
However, even today the revised Air Quality Health Index omits carcinogens as well as the chemicals of most concern.
The reluctance of politicians and most environmental groups to support effective monitoring is because the most significant source of dangerous chemicals is wood burning in fireplaces, stoves, backyard fire pits, chimineas and in city parks and campgrounds.
Many people are involved in polluting the air, making this an unpopular issue.
No monitoring is really needed as the dangerous nature of wood combustion products has been known for centuries.
Dangerous chemicals are emitted in such high volumes that only a sense of smell is needed to identify a health concern. Again in historical times, if a fuel was dirty enough to coat a chimney and require the services of a chimney sweep then it was realized that neighbours’ lungs would also be coated with smoke, tar and creosote — with serious health implications.
Once cigarette smoke was identified as a health hazard, with no safe number of cigarettes that can be smoked and no safe exposure to second-hand smoke it was immediately realized that as both wood and tobacco are cellulose-based plant materials then wood smoke will be chemically very similar to cigarette smoke and will cause the same diseases.
For whatever reason, only a handful of people in Alberta made the connection.
We would be better off ignoring the Air Quality Health Index and relying on common sense as people did in the past.
-- Data records, kept here for reference --
____________
[1]
88
Properties=species:S:1:pos:R:3:forces:R:3:lowdin_charge:R:1 method="wB97M-V/def2-TZVPD" e_tot_ev=-103093.417 total_charge=+2 orbital_gap_ev="4.790 / 4.790" homo_ha="-0.4659 / -0.4659"
Rh -0.828702 0.277344 0.535962 -0.0518 -0.1662 -0.2364 0.96
C 0.521156 -3.451718 4.153026 -0.0340 -0.0008 0.0305 -0.34
S 1.589017 -2.020032 3.918755 0.0810 -0.2205 -0.0902 0.97
C 0.890625 -1.280415 2.518001 -0.0620 0.9203 0.7532 -0.99
S -0.759485 -1.229335 2.268532 -0.1300 -0.4054 -0.1255 0.85
N 1.745043 -0.436843 1.866390 -0.0827 -0.4613 -0.8972 -0.17
N 1.255465 0.367097 0.765567 -0.0416 0.1396 0.1655 -0.03
C 0.686973 1.512845 1.210238 0.1262 0.1026 0.0153 -0.18
C 0.342592 2.523577 0.159761 0.0173 -0.0553 -0.0024 -0.25
C 0.751098 3.826517 0.006439 -0.0128 0.0106 -0.0189 0.02
C 0.194774 4.540641 -1.053230 0.0077 -0.0053 0.0228 -0.01
C -0.739202 3.940193 -1.881409 -0.0157 -0.0115 -0.0045 -0.01
C -1.118792 2.626341 -1.640809 0.0121 -0.0167 -0.0203 -0.05
N -0.561745 1.950054 -0.647634 0.0176 0.0701 0.0339 0.01
H 0.928711 -3.971518 5.017823 0.0089 -0.0046 -0.0076 0.05
H 0.574514 -4.083829 3.270457 -0.0130 0.0074 -0.0010 0.04
H -0.498144 -3.142821 4.366329 0.0044 0.0128 0.0128 0.04
H 0.723093 1.777904 2.262681 -0.0070 0.0377 -0.0100 0.15
H 1.457376 4.279050 0.688343 -0.0037 -0.0023 0.0005 0.13
H 0.482153 5.570257 -1.218262 -0.0038 -0.0008 -0.0058 0.13
H -1.190619 4.484790 -2.697958 0.0070 0.0027 -0.0002 0.12
H -1.868179 2.113047 -2.227016 -0.0022 -0.0024 0.0034 0.14
C -5.934963 -5.230642 -0.008284 -0.0011 0.0011 -0.0015 -0.03
C -4.613776 -4.576700 -0.291793 -0.0031 -0.0050 -0.0043 -0.25
C -3.482362 -5.351724 -0.563342 -0.0057 -0.0103 0.0056 -0.02
C -2.265801 -4.763215 -0.844974 0.0079 0.0168 0.0024 -0.06
C -2.183549 -3.374342 -0.872075 -0.0085 0.0021 0.0120 -0.39
C -3.279986 -2.576706 -0.597022 -0.0131 0.0594 -0.0041 -0.06
C -4.491333 -3.191190 -0.308359 0.0123 0.0141 0.0019 -0.01
S -0.591333 -2.650546 -1.148997 0.0282 0.0295 -0.0231 0.97
O -0.768493 -1.143136 -1.197316 0.0019 0.1342 0.1239 -0.56
C -0.279162 -3.238355 -2.798646 -0.0986 0.0584 -0.0983 -0.29
C -1.393845 -3.131328 -3.661748 0.0122 -0.0404 -0.0153 -0.06
C -1.447340 -3.840492 -4.818077 0.0056 0.0181 0.0192 0.01
C -0.478974 -4.842076 -5.056331 0.0006 -0.0148 0.0055 -0.15
C -0.655316 -5.769035 -6.113294 0.0038 0.0017 0.0017 -0.01
C 0.183622 -6.832880 -6.253950 0.0050 0.0080 0.0050 -0.04
C 1.227652 -7.022230 -5.324301 -0.0094 0.0001 -0.0098 -0.04
C 1.459016 -6.108331 -4.338869 0.0015 -0.0181 0.0028 -0.02
C 0.638121 -4.956309 -4.191168 -0.0514 -0.0517 0.0132 -0.12
C 0.849120 -3.977253 -3.141798 0.0462 -0.0362 0.0497 -0.08
C 2.266010 -3.898231 -2.622190 0.0240 0.0807 0.0675 -0.06
C 3.311631 -4.104631 -3.602703 0.0275 0.0685 -0.0034 -0.13
C 3.120500 -3.797541 -4.977304 0.0087 0.0065 -0.0115 -0.02
C 4.115742 -3.996731 -5.888643 -0.0037 -0.0008 0.0080 -0.03
C 5.349432 -4.556527 -5.496010 -0.0058 -0.0021 0.0040 -0.04
C 5.583815 -4.823914 -4.179644 0.0053 -0.0027 -0.0053 -0.01
____________
Even very sophisticated monitoring fails to identify the true extent of the health impact of wood smoke as free radicals are not normal chemicals and escape detection.
In addition, no monitoring will identify the smoke and fumes inside a home that has a wood burning appliance.
Both current and historical data dating back 300 years identifies health problems linked to using a wood or coal burning fireplace or stove in a home.
A troubling statistic is that today 20% of women who develop lung cancer have never smoked.
This may be because women spend time at home, when the children are young, and are exposed to smoke from their own wood burning appliance or from neighbours.
Even the most sophisticated monitoring needs to be supplemented by medical studies relating air pollution to human health.
Remarkably, when wood burning surfaced in Canada in the 1970s no environmental impact studies were undertaken even though the British were spending millions of pounds to rid urban centres of coal and wood smoke.
Apart from the human costs, the British realized that the cost of treating smoke-related diseases would cripple their health care system.
New Zealanders thought they would escape the problems of the past by mandating EPA approved wood stoves in 1973 but this turned into a “complete fiasco” as “approved” stoves only reduce emissions by a token amount while fireplaces still pose a threat to neighbours.
Their mild climate has saved them from a meltdown of their health care system as they do not need to burn much wood, limiting the cost of treating smoke-related diseases to only $2,700 for each wood burning appliance per year.
Allowing for Alberta’s long, cold winters we can estimate the cost of each wood burning appliance at $15,000 per annum.
In the U.S., in the San Francisco Bay Area, only 10% of the residents burn wood to some degree but this has been enough to increase health care costs by a billion dollars annually.
Burning bans were tried this year and each wood smoke-free day was estimated to have saved the health care system $250,000.
Smoke-free initiatives, by this city, are long overdue even if it means paying up to $8,000, following the lead of municipalities in the Puget Sound area, for residents to convert from wood to natural gas.
Without some action on the part of the city, like so many North American municipalities, Red Deer will become a very unhealthy place in which to live.
Relying on ineffective air quality monitoring has meant that the city has not supported a single effective clean air initiative, believing that the city has escaped the problems that other municipalities face with regard to wood smoke, automobile and diesel truck pollution.
A new approach is needed and with no safe exposure to wood smoke and possibly diesel smoke, an important first step would be to examine ways to reduce smoke to the lowest practical level.
Alan Smith
Alberta director – Canadian Clean Air Alliance
Red Deer